/*
No. 1
Entry from Materials Project: a relaxed structure of Ti3N4 (PBE-GGA). Values from VASP.

Summary:
- raw total energy (eV/atom) = -9.463
- SG = No. 62
- ρ (Mg/m³) = 4.68

```
&SYSTEM
  ibrav = 0, nat = 28, ntyp = 2
/
ATOMIC_SPECIES
N 14.01 N.upf
Ti 47.87 Ti.upf
ATOMIC_POSITIONS angstrom
N 0.753 2.247 2.867
Ti 2.259 2.089 1.441
N 0.753 6.935 2.148
Ti 2.259 5.346 6.269
Ti 0.753 8.719 1.254
Ti 2.259 6.777 3.574
N 0.753 1.326 0.160
Ti 0.753 4.031 3.761
Ti 0.753 8.352 5.948
Ti 2.259 0.657 8.776
Ti 0.753 7.287 8.589
Ti 0.753 3.663 9.097
N 2.259 0.081 2.264
N 0.753 4.607 7.279
N 2.259 7.130 7.163
N 0.753 6.014 4.856
N 2.259 8.401 4.686
N 2.259 2.442 7.882
Ti 2.259 1.025 4.082
Ti 2.259 5.713 0.933
N 2.259 3.713 0.329
N 2.259 8.050 9.871
N 2.259 4.769 2.751
N 2.259 3.362 5.175
N 0.753 9.295 7.767
Ti 0.753 2.599 6.456
N 0.753 5.663 9.701
N 0.753 0.975 5.344
CELL_PARAMETERS angstrom
3.012 0.000 0.000
0.000 9.376 0.000
0.000 0.000 10.030
```



No. 2
Entry from Materials Project: a relaxed structure of Ti3N (PBE-GGA). Values from VASP.

Summary:
- raw total energy (eV/atom) = -7.658
- SG = No. 139
- ρ (Mg/m³) = 4.96

```
&SYSTEM
  ibrav = 0, nat = 4, ntyp = 2
/
ATOMIC_SPECIES
Ti 47.87 Ti.upf
N 14.01 N.upf
ATOMIC_POSITIONS angstrom
Ti -1.977 1.508 1.245
N 0.000 0.000 0.000
Ti -0.601 3.820 1.947
Ti 0.120 1.194 2.508
CELL_PARAMETERS angstrom
1.496 3.506 3.210
-2.698 4.133 0.684
-0.654 -4.938 -0.140
```



No. 3
Entry from Materials Project: a relaxed structure of Ti19N25 (PBE-GGA). Values from VASP.

Summary:
- raw total energy (eV/atom) = -9.211
- SG = No. 166
- ρ (Mg/m³) = 4.29

```
&SYSTEM
  ibrav = 0, nat = 44, ntyp = 2
/
ATOMIC_SPECIES
N 14.01 N.upf
Ti 47.87 Ti.upf
ATOMIC_POSITIONS angstrom
N 30.473 17.594 44.838
Ti 12.189 7.037 19.382
N 28.950 16.714 42.413
Ti 28.950 16.714 46.043
N 9.142 5.278 10.669
N 33.521 19.353 49.689
Ti 21.331 12.316 26.788
N 22.855 13.195 32.777
N 36.568 21.112 54.554
N 19.808 11.436 27.628
N 38.092 21.992 56.899
N 10.666 6.158 13.575
Ti 41.139 23.752 58.460
Ti 24.379 14.075 38.772
Ti 22.855 13.195 36.345
Ti 9.142 5.278 14.542
N 7.618 4.398 8.741
N 3.047 1.759 1.456
N 12.189 7.037 15.509
N 4.571 2.639 3.642
N 15.237 8.797 20.343
Ti 10.666 6.158 9.702
N 13.713 7.917 18.415
N 35.044 20.233 52.112
N 27.426 15.834 39.987
Ti 25.902 14.955 41.195
Ti 15.237 8.797 24.096
N 31.997 18.473 47.263
Ti 31.997 18.473 43.632
Ti 39.615 22.872 55.794
Ti 7.618 4.398 4.988
N 16.760 9.677 23.258
Ti 19.808 11.436 31.216
N 21.331 12.316 30.494
Ti 1.524 0.880 2.296
Ti 35.044 20.233 48.481
N 24.379 14.075 35.122
Ti 38.092 21.992 53.331
N 6.095 3.519 5.827
N 18.284 10.556 25.442
Ti 21.331 12.316 33.882
N 39.615 22.872 59.182
N 25.902 14.955 37.564
Ti 36.568 21.112 50.904
CELL_PARAMETERS angstrom
3.047 0.000 0.000
1.524 2.639 0.000
38.092 21.992 60.592
```



No. 4
Entry from Materials Project: a relaxed structure of TiV4N4 (PBE-GGA). Values from VASP.

Summary:
- raw total energy (eV/atom) = -9.652
- SG = No. 2
- ρ (Mg/m³) = 5.62

```
&SYSTEM
  ibrav = 0, nat = 18, ntyp = 3
/
ATOMIC_SPECIES
Ti 47.87 Ti.upf
N 14.01 N.upf
V 50.94 V.upf
ATOMIC_POSITIONS angstrom
Ti -2.107 -10.057 0.758
N 0.588 -3.947 -0.514
Ti -0.453 -2.603 0.610
N -5.115 -4.742 0.764
V -3.379 -5.326 1.153
V 0.819 -7.335 0.215
V -1.505 -7.999 -1.076
V -1.016 -5.254 -0.242
N -3.148 -8.714 1.882
N -0.438 -8.876 0.528
V -1.055 -4.662 2.444
V -1.544 -7.406 1.609
N -2.557 -6.659 -0.003
V 0.401 -9.553 2.285
V -2.961 -3.108 -0.917
N -2.122 -3.785 0.839
N 2.555 -7.918 0.604
N -0.003 -6.001 1.371
CELL_PARAMETERS angstrom
-3.126 -2.122 3.310
-3.013 -3.419 -2.306
3.578 -7.119 0.363
```



No. 5
Entry from Materials Project: a relaxed structure of TiZn2N2 (PBE-GGA). Values from VASP.

Summary:
- raw total energy (eV/atom) = -5.638
- SG = No. 12
- ρ (Mg/m³) = 5.61

```
&SYSTEM
  ibrav = 0, nat = 10, ntyp = 3
/
ATOMIC_SPECIES
Zn 65.41 Zn.upf
Ti 47.87 Ti.upf
N 14.01 N.upf
ATOMIC_POSITIONS angstrom
Zn 2.495 -5.319 -1.341
Ti 1.685 -2.696 -2.325
Ti 4.418 -8.844 -3.283
*/

The reader should start at the top of the data further above and return each line, ending with the one that has "36.345".

No. 1
Entry from Materials Project: a relaxed structure of Ti3N4 (PBE-GGA). Values from VASP.

Summary:
- raw total energy (eV/atom) = -9.463
- SG = No. 62
- ρ (Mg/m³) = 4.68

```
&SYSTEM
  ibrav = 0, nat = 28, ntyp = 2
/
ATOMIC_SPECIES
N 14.01 N.upf
Ti 47.87 Ti.upf
ATOMIC_POSITIONS angstrom
N 0.753 2.247 2.867
Ti 2.259 2.089 1.441
N 0.753 6.935 2.148
Ti 2.259 5.346 6.269
Ti 0.753 8.719 1.254
Ti 2.259 6.777 3.574
N 0.753 1.326 0.160
Ti 0.753 4.031 3.761
Ti 0.753 8.352 5.948
Ti 2.259 0.657 8.776
Ti 0.753 7.287 8.589
Ti 0.753 3.663 9.097
N 2.259 0.081 2.264
N 0.753 4.607 7.279
N 2.259 7.130 7.163
N 0.753 6.014 4.856
N 2.259 8.401 4.686
N 2.259 2.442 7.882
Ti 2.259 1.025 4.082
Ti 2.259 5.713 0.933
N 2.259 3.713 0.329
N 2.259 8.050 9.871
N 2.259 4.769 2.751
N 2.259 3.362 5.175
N 0.753 9.295 7.767
Ti 0.753 2.599 6.456
N 0.753 5.663 9.701
N 0.753 0.975 5.344
CELL_PARAMETERS angstrom
3.012 0.000 0.000
0.000 9.376 0.000
0.000 0.000 10.030
```



No. 2
Entry from Materials Project: a relaxed structure of Ti3N (PBE-GGA). Values from VASP.

Summary:
- raw total energy (eV/atom) = -7.658
- SG = No. 139
- ρ (Mg/m³) = 4.96

```
&SYSTEM
  ibrav = 0, nat = 4, ntyp = 2
/
ATOMIC_SPECIES
Ti 47.87 Ti.upf
N 14.01 N.upf
ATOMIC_POSITIONS angstrom
Ti -1.977 1.508 1.245
N 0.000 0.000 0.000
Ti -0.601 3.820 1.947
Ti 0.120 1.194 2.508
CELL_PARAMETERS angstrom
1.496 3.506 3.210
-2.698 4.133 0.684
-0.654 -4.938 -0.140
```



No. 3
Entry from Materials Project: a relaxed structure of Ti19N25 (PBE-GGA). Values from VASP.

Summary:
- raw total energy (eV/atom) = -9.211
- SG = No. 166
- ρ (Mg/m³) = 4.29

```
&SYSTEM
  ibrav = 0, nat = 44, ntyp = 2
/
ATOMIC_SPECIES
N 14.01 N.upf
Ti 47.87 Ti.upf
ATOMIC_POSITIONS angstrom
N 30.473 17.594 44.838
Ti 12.189 7.037 19.382
N 28.950 16.714 42.413
Ti 28.950 16.714 46.043
N 9.142 5.278 10.669
N 33.521 19.353 49.689
Ti 21.331 12.316 26.788
N 22.855 13.195 32.777
N 36.568 21.112 54.554
N 19.808 11.436 27.628
N 38.092 21.992 56.899
N 10.666 6.158 13.575
Ti 41.139 23.752 58.460
Ti 24.379 14.075 38.772
Ti 22.855 13.195 36.345